Source >
=====
First-principles (GGA-PBE) data for Be3CuRu after structural relaxation, as listed in the Alexandria database. Values from VASP.

```
&SYSTEM
  ibrav = 0, nat = 5, ntyp = 3
/
ATOMIC_SPECIES
Be 9.01 Be.upf
Ru 101.07 Ru.upf
Cu 63.55 Cu.upf
CELL_PARAMETERS angstrom
-2.716 2.950 0.905
-0.550 -1.649 3.725
3.036 2.340 1.484
ATOMIC_POSITIONS crystal
Be 0.000 0.000 0.500
Be 0.000 0.500 0.000
Ru 0.000 0.000 0.000
Cu 0.500 0.500 0.500
Be 0.500 0.000 0.000
```

Values from the calculation:
Total moment (μB per formula unit): 0.000
Total energy (eV per atom): -4.156
Energy above the lowest structure with this stoichiometry (meV per atom): 109
Calculated formation energy (eV per formula unit): 3.8
Volume (Å³ per cell): 69

***

First-principles (GGA-PBE) data for GaTe2HI after structural relaxation, as listed in the Alexandria database. Values from VASP.

```
&SYSTEM
  ibrav = 0, nat = 5, ntyp = 4
/
ATOMIC_SPECIES
H 1.01 H.upf
Ga 69.72 Ga.upf
I 126.90 I.upf
Te 127.60 Te.upf
CELL_PARAMETERS angstrom
-4.386 -3.217 0.093
3.216 -4.377 0.316
-0.120 0.332 5.826
ATOMIC_POSITIONS crystal
H 0.500 0.500 0.500
Ga 0.000 0.000 0.000
I 0.000 0.000 0.500
Te 0.000 0.500 0.000
Te 0.500 0.000 0.000
```

Values from the calculation:
Total moment (μB per formula unit): 0.170
Total energy (eV per atom): -2.152
Energy above the lowest structure with this stoichiometry (meV per atom): 487
Volume (Å³ per cell): 173

***

First-principles (GGA-PBE) data for LiTaCuIr after structural relaxation, as listed in the Alexandria database. Values from VASP.

```
&SYSTEM
  ibrav = 0, nat = 4, ntyp = 4
/
ATOMIC_SPECIES
Ta 180.95 Ta.upf
Cu 63.55 Cu.upf
Ir 192.22 Ir.upf
Li 6.94 Li.upf
CELL_PARAMETERS angstrom
-4.019 1.003 -1.278
-1.249 -0.821 -4.069
-2.872 -3.149 -0.792
ATOMIC_POSITIONS crystal
Ta 0.750 0.750 0.750
Cu 0.000 0.000 0.000
Ir 0.500 0.500 0.500
Li 0.250 0.250 0.250
```

Values from the calculation:
Total moment (μB per formula unit): 0.000
Total energy (eV per atom): -6.893
Calculated formation energy (eV per formula unit): -0.8
Volume (Å³ per cell): 58

***

First-principles (GGA-PBE) data for NaZnPt2 after structural relaxation, as listed in the Alexandria database. Values from VASP.

```
&SYSTEM
  ibrav = 0, nat = 4, ntyp = 3
/
ATOMIC_SPECIES
Zn 65.41 Zn.upf
Pt 195.08 Pt.upf
Na 22.99 Na.upf
CELL_PARAMETERS angstrom
3.897 0.000 0.000
0.000 4.022 0.000
0.000 0.000 4.022
ATOMIC_POSITIONS crystal
Zn 0.500 0.000 0.000
Pt 0.000 0.500 0.000
Na 0.500 0.500 0.500
Pt 0.000 0.000 0.500
```

Values from the calculation:
Total moment (μB per formula unit): 0.000
Total energy (eV per atom): -3.918
Calculated formation energy (eV per formula unit): -1.0
Volume (Å³ per cell): 63

***

First-principles (GGA-PBE) data for PmMgCdPd after structural relaxation, as listed in the Alexandria database. Values from VASP.

```
&SYSTEM
  ibrav = 0, nat = 4, ntyp = 4
/
ATOMIC_SPECIES
Pd 106.42 Pd.upf
Mg 24.30 Mg.upf
Cd 112.41 Cd.upf
Pm 145.00 Pm.upf
CELL_PARAMETERS angstrom
5.012 0.000 0.000
2.506 4.340 0.000
2.506 1.447 4.092
ATOMIC_POSITIONS crystal
Pd 0.250 0.250 0.250
Mg 0.000 0.000 0.000
Cd 0.750 0.750 0.750
Pm 0.500 0.500 0.500
```

Values from the calculation:
Total moment (μB per formula unit): 0.000
Total energy (eV per atom): -3.585
Calculated formation energy (eV per formula unit): -1.9
Volume (Å³ per cell): 89

***

First-principles (GGA-PBE) data for Pm6Ag2Pd after structural relaxation, as listed in the Alexandria database. Values from VASP.

```
&SYSTEM
  ibrav = 0, nat = 18, ntyp = 3
/
ATOMIC_SPECIES
Pm 145.00 Pm.upf
Ag 107.87 Ag.upf
Pd 106.42 Pd.upf
CELL_PARAMETERS angstrom
6.367 0.000 0.248
0.000 8.034 0.000
-0.440 0.000 10.422
ATOMIC_POSITIONS crystal
Pm 0.144 0.044 0.758
Pm 0.359 0.794 0.441
Pm 0.856 0.956 0.242
Ag 0.592 0.891 0.731
Pd 0.500 0.500 0.000
Ag 0.908 0.391 0.769
Pm 0.849 0.661 0.551
Pm 0.859 0.706 0.941
Ag 0.408 0.109 0.269
Pm 0.644 0.456 0.258
Pm 0.141 0.294 0.059
Pm 0.356 0.544 0.742
Pm 0.651 0.161 0.949
Pm 0.641 0.206 0.559
Pd 0.000 0.000 0.500
=====
Request >
Quote all of the contents further up with every line break kept, please.
Result >
First-principles (GGA-PBE) data for Be3CuRu after structural relaxation, as listed in the Alexandria database. Values from VASP.

```
&SYSTEM
  ibrav = 0, nat = 5, ntyp = 3
/
ATOMIC_SPECIES
Be 9.01 Be.upf
Ru 101.07 Ru.upf
Cu 63.55 Cu.upf
CELL_PARAMETERS angstrom
-2.716 2.950 0.905
-0.550 -1.649 3.725
3.036 2.340 1.484
ATOMIC_POSITIONS crystal
Be 0.000 0.000 0.500
Be 0.000 0.500 0.000
Ru 0.000 0.000 0.000
Cu 0.500 0.500 0.500
Be 0.500 0.000 0.000
```

Values from the calculation:
Total moment (μB per formula unit): 0.000
Total energy (eV per atom): -4.156
Energy above the lowest structure with this stoichiometry (meV per atom): 109
Calculated formation energy (eV per formula unit): 3.8
Volume (Å³ per cell): 69

***

First-principles (GGA-PBE) data for GaTe2HI after structural relaxation, as listed in the Alexandria database. Values from VASP.

```
&SYSTEM
  ibrav = 0, nat = 5, ntyp = 4
/
ATOMIC_SPECIES
H 1.01 H.upf
Ga 69.72 Ga.upf
I 126.90 I.upf
Te 127.60 Te.upf
CELL_PARAMETERS angstrom
-4.386 -3.217 0.093
3.216 -4.377 0.316
-0.120 0.332 5.826
ATOMIC_POSITIONS crystal
H 0.500 0.500 0.500
Ga 0.000 0.000 0.000
I 0.000 0.000 0.500
Te 0.000 0.500 0.000
Te 0.500 0.000 0.000
```

Values from the calculation:
Total moment (μB per formula unit): 0.170
Total energy (eV per atom): -2.152
Energy above the lowest structure with this stoichiometry (meV per atom): 487
Volume (Å³ per cell): 173

***

First-principles (GGA-PBE) data for LiTaCuIr after structural relaxation, as listed in the Alexandria database. Values from VASP.

```
&SYSTEM
  ibrav = 0, nat = 4, ntyp = 4
/
ATOMIC_SPECIES
Ta 180.95 Ta.upf
Cu 63.55 Cu.upf
Ir 192.22 Ir.upf
Li 6.94 Li.upf
CELL_PARAMETERS angstrom
-4.019 1.003 -1.278
-1.249 -0.821 -4.069
-2.872 -3.149 -0.792
ATOMIC_POSITIONS crystal
Ta 0.750 0.750 0.750
Cu 0.000 0.000 0.000
Ir 0.500 0.500 0.500
Li 0.250 0.250 0.250
```

Values from the calculation:
Total moment (μB per formula unit): 0.000
Total energy (eV per atom): -6.893
Calculated formation energy (eV per formula unit): -0.8
Volume (Å³ per cell): 58

***

First-principles (GGA-PBE) data for NaZnPt2 after structural relaxation, as listed in the Alexandria database. Values from VASP.

```
&SYSTEM
  ibrav = 0, nat = 4, ntyp = 3
/
ATOMIC_SPECIES
Zn 65.41 Zn.upf
Pt 195.08 Pt.upf
Na 22.99 Na.upf
CELL_PARAMETERS angstrom
3.897 0.000 0.000
0.000 4.022 0.000
0.000 0.000 4.022
ATOMIC_POSITIONS crystal
Zn 0.500 0.000 0.000
Pt 0.000 0.500 0.000
Na 0.500 0.500 0.500
Pt 0.000 0.000 0.500
```

Values from the calculation:
Total moment (μB per formula unit): 0.000
Total energy (eV per atom): -3.918
Calculated formation energy (eV per formula unit): -1.0
Volume (Å³ per cell): 63

***

First-principles (GGA-PBE) data for PmMgCdPd after structural relaxation, as listed in the Alexandria database. Values from VASP.

```
&SYSTEM
  ibrav = 0, nat = 4, ntyp = 4
/
ATOMIC_SPECIES
Pd 106.42 Pd.upf
Mg 24.30 Mg.upf
Cd 112.41 Cd.upf
Pm 145.00 Pm.upf
CELL_PARAMETERS angstrom
5.012 0.000 0.000
2.506 4.340 0.000
2.506 1.447 4.092
ATOMIC_POSITIONS crystal
Pd 0.250 0.250 0.250
Mg 0.000 0.000 0.000
Cd 0.750 0.750 0.750
Pm 0.500 0.500 0.500
```

Values from the calculation:
Total moment (μB per formula unit): 0.000
Total energy (eV per atom): -3.585
Calculated formation energy (eV per formula unit): -1.9
Volume (Å³ per cell): 89

***

First-principles (GGA-PBE) data for Pm6Ag2Pd after structural relaxation, as listed in the Alexandria database. Values from VASP.

```
&SYSTEM
  ibrav = 0, nat = 18, ntyp = 3
/
ATOMIC_SPECIES
Pm 145.00 Pm.upf
Ag 107.87 Ag.upf
Pd 106.42 Pd.upf
CELL_PARAMETERS angstrom
6.367 0.000 0.248
0.000 8.034 0.000
-0.440 0.000 10.422
ATOMIC_POSITIONS crystal
Pm 0.144 0.044 0.758
Pm 0.359 0.794 0.441
Pm 0.856 0.956 0.242
Ag 0.592 0.891 0.731
Pd 0.500 0.500 0.000
Ag 0.908 0.391 0.769
Pm 0.849 0.661 0.551
Pm 0.859 0.706 0.941
Ag 0.408 0.109 0.269
Pm 0.644 0.456 0.258
Pm 0.141 0.294 0.059
Pm 0.356 0.544 0.742
Pm 0.651 0.161 0.949
Pm 0.641 0.206 0.559
Pd 0.000 0.000 0.500